Things have slowed down a bit here. I am doing more planning and plotting than running around the city like a madwoman.
These materials data were left in the piece by mistake >
No. 1
! ZrMnCl PBE optimized geometry; values from VASP
! DOS(E_F): 0.9 states/eV/f.u.
! Formation energy from raw total energies: -0.3458 eV per atom
! Magnetization: 4.02 μB per formula unit
&SYSTEM
  ibrav = 0, nat = 3, ntyp = 3
/
ATOMIC_SPECIES
Zr 91.22 Zr.upf
Mn 54.94 Mn.upf
Cl 35.45 Cl.upf
ATOMIC_POSITIONS crystal
Zr 0.000 0.000 0.000
Mn 0.333 0.667 0.688
Cl 0.667 0.333 0.269
CELL_PARAMETERS angstrom
3.265 0.000 0.000
-1.632 2.827 0.000
0.000 0.000 6.934

No. 2
! Rb2TaRuPb PBE optimized geometry; values from VASP
! DOS(E_F): 4.8 states/eV/f.u.
! DFT formation energy: 46.4 kcal/mol of atoms
! Magnetization: 5.18 μB per formula unit
&SYSTEM
  ibrav = 0, nat = 5, ntyp = 4
/
ATOMIC_SPECIES
Rb 85.47 Rb.upf
Ta 180.95 Ta.upf
Ru 101.07 Ru.upf
Pb 207.20 Pb.upf
ATOMIC_POSITIONS crystal
Rb 0.000 0.500 0.000
Rb 0.500 0.000 0.000
Ta 0.000 0.000 0.500
Ru 0.500 0.500 0.500
Pb 0.000 0.000 0.000
CELL_PARAMETERS angstrom
6.923 0.000 0.000
0.000 6.923 0.000
0.000 0.000 5.448

No. 3
! Pu3TaO7 PBE optimized geometry; values from VASP
! DOS(E_F): 16.1 states/eV/f.u.
! Formation energy from raw total energies: -3.0141 eV per atom
! Magnetization: 15.00 μB per formula unit
&SYSTEM
  ibrav = 0, nat = 22, ntyp = 3
/
ATOMIC_SPECIES
Pu 244.00 Pu.upf
Ta 180.95 Ta.upf
O 16.00 O.upf
ATOMIC_POSITIONS crystal
Pu 0.000 0.000 0.000
Pu 0.000 0.000 0.500
Pu 0.030 0.499 0.750
Pu 0.499 0.030 0.250
Pu 0.501 0.970 0.750
The piece goes on >
I start work with my second (money earning) job this Saturday, and am am not happy about it. Thus far this job has already messed up my plans for at least two holidays and a possible trip out of the country. And, I will only be working there for two months. Eff. I start working at a summer camp this Saturday, July 3. So, I will be missing the July 4th celebrations at the US Embassy. And, I am working at this happy fun time camp all of the week of July 12-16 so I get to miss Nadaam as well. This one I'm particularly irritated by. Mongolia has, maybe, three or four recognizable holidays. The biggest (and soonest) of which is Nadaam. It is a three day festival in which people come from all over to compete in the "three manly sports", wrestling, horseback racing, and archery. I will be in UB for Sunday the 11th, so I will get to see the opening ceremonies. But, I get to miss the rest of it, thank you camp. If I were teaching here in UB at that time, the school in UB doesn't have class during Nadaam, but of course the camp does. And, then I get an email from Gina this morning about a conference opportunity in Russia that @Mn really should be sending someone to. Who wants to go? Me! Who can't go because she has class? ME! B is displeased. At least this job is only until August 20th. Then, hopefully I can find something a little less irritating. I know this sounds spoiled. I have to miss celebrations and conferences because I'm teaching Mongolian children to speak English which may or may not improve their chance to eek a more profitable living in globalizing Mongolia. Part of me is okay with missing the festivals and whatnot because I fully plan on doing it next year either on my own as I circumnavigate Mongolia hunting down any and all animal-based festivals (yak festival: July 14-16 at Khatgal sum, Mongolian horses: August 15, Golden Eagle Festival: September 18-19 Bayan-Ulgii province, Tsaatan Festival (which involves reindeer polo): July 1-4 Khuvsgul province - you get the idea. They like to celebrate their critters...) or with whoever can make it to visit Mongolia next June and July. But, on the other hand, I have still seen very little Mongolia. I know this is a byproduct of living here and not making a whole lot of money. I don't get to do the tourist thing. I get to do the living here thing. Which would be okay by me if I got to see more than the walk between my flat and my destination and do more than sit around and make plans. This is supposed to be the adventure-travel location extraordinaire, and all I'm doing is sitting around waiting for something to happen. And, when I finally have to chance to get out and seeing the things I read about before coming here or the opportunity to travel to Russian, I'm stuck doing a job I don't care about. This isn't why I came to Mongolia. I came for the country, for the people, for the opportunity to travel, and for AIESEC - and so far this second job is getting in the way of all of that (except maybe the people aspect). And, I haven't even started.
Now that I'm settling in I have a little more time to be homesick. It's not bad, but it comes in waves of missing certain people or places. I was listening to Corey Smith yesterday and started miss Athens like crazy. For those of you who don't know Corey Smith, he is a singer/songwriter from Athens and most of his songs deal with Athens. So, if you aren't from there or haven't lived there his songs probably will mean very little to you. But, having lived there they remind me so much of my time in Athens it's scary. So, I figured I'll probably stop listening to him for a while at least until I'm more settled and less prone to waves of homesickness.
I have started scoping out places that will probably become my usual haunts. There is a cafe here called Cafe Amsterdam. It's most expats, but I do really like the atmosphere and they have a little in-house library. It's close to the city location of the second job, so I will probably end up killing time there in between classes. There's also a little French bookstore that I visited yesterday. I has some English language books, they mostly have the Classics, and they are pretty expensive. So, I'll probably just end up sitting in the store and reading them there. But, it's not far from the flat and it's pretty cute. There's another cafe that I will try today. I forget the name but it's run by a German woman named Bridget. :) There's also a little bakery right next door, so I don't really see where I can go wrong with this.
Anyway, I've killed enough time lying around the flat this morning and I actually do have quite a bit of work to plow through today so I should put on actual clothes and get my butt off the couch.
Acronym for today: OGX or outgoing exchange the facet of AIESEC that is responsible for sending people abroad.